Data:
'''
The following is a quantum chemistry calculation of an isolated molecule of C6H18ClN3Si in a non-equilibrium geometry, from OMol25.

- lowest unoccupied orbital energy (eV) = 0.86
- orbital gap (eV) = 9.253
- SMILES = CN(C)[Si](Cl)(N(C)C)N(C)C
- E_HOMO (eV) = -8.390
- energy above the lowest of the compared OMol25 structures with the same formula, charge and spin (kcal per mole) = 0.5

Bonds (Å) are listed after each position.
Positions of all 29 atoms, in Å:
1 Cl -0.711 -0.626 2.388  Si11 2.112
2 N -0.488 1.668 0.281  C5 1.474, C6 1.455, Si11 1.829
3 N -0.711 -1.280 -0.749  C7 1.461, C8 1.466, Si11 1.830
4 N 1.757 -0.310 0.597  C9 1.472, C10 1.459, Si11 1.801
5 C 0.546 2.364 -0.507  N2 1.474, H12 1.095, H13 1.089, H14 1.088
6 C -1.915 1.914 0.139  N2 1.455, H15 1.107, H16 1.113, H17 1.078
7 C -1.996 -1.925 -0.493  N3 1.461, H18 1.102, H19 1.093, H20 1.082
8 C -0.510 -0.668 -2.066  N3 1.466, H21 1.085, H22 1.087, H23 1.079
9 C 2.003 0.180 1.964  N4 1.472, H24 1.101, H25 1.086, H26 1.094
10 C 2.092 -1.703 0.320  N4 1.459, H27 1.094, H28 1.072, H29 1.078
11 Si -0.026 -0.092 0.463  Cl1 2.112, N2 1.829, N3 1.830, N4 1.801
12 H 0.253 3.417 -0.583  C5 1.095
13 H 0.692 1.960 -1.508  C5 1.089
14 H 1.502 2.265 0.002  C5 1.088
15 H -2.157 2.992 0.059  C6 1.107
16 H -2.363 1.379 -0.728  C6 1.113
17 H -2.393 1.562 1.039  C6 1.078
18 H -2.585 -1.175 0.060  C7 1.102
19 H -2.480 -2.212 -1.430  C7 1.093
20 H -1.873 -2.816 0.108  C7 1.082
21 H -0.786 -1.431 -2.785  C8 1.085
22 H -1.119 0.230 -2.130  C8 1.087
23 H 0.545 -0.466 -2.166  C8 1.079
24 H 3.036 0.550 2.047  C9 1.101
25 H 1.866 -0.554 2.753  C9 1.086
26 H 1.331 1.006 2.216  C9 1.094
27 H 1.380 -2.403 0.765  C10 1.094
28 H 2.033 -1.864 -0.738  C10 1.072
29 H 3.075 -1.961 0.680  C10 1.078
'''
Assignment:
Now set down the lines earlier on up to the one that holds "-1.430", that line included.
Outcome:
The following is a quantum chemistry calculation of an isolated molecule of C6H18ClN3Si in a non-equilibrium geometry, from OMol25.

- lowest unoccupied orbital energy (eV) = 0.86
- orbital gap (eV) = 9.253
- SMILES = CN(C)[Si](Cl)(N(C)C)N(C)C
- E_HOMO (eV) = -8.390
- energy above the lowest of the compared OMol25 structures with the same formula, charge and spin (kcal per mole) = 0.5

Bonds (Å) are listed after each position.
Positions of all 29 atoms, in Å:
1 Cl -0.711 -0.626 2.388  Si11 2.112
2 N -0.488 1.668 0.281  C5 1.474, C6 1.455, Si11 1.829
3 N -0.711 -1.280 -0.749  C7 1.461, C8 1.466, Si11 1.830
4 N 1.757 -0.310 0.597  C9 1.472, C10 1.459, Si11 1.801
5 C 0.546 2.364 -0.507  N2 1.474, H12 1.095, H13 1.089, H14 1.088
6 C -1.915 1.914 0.139  N2 1.455, H15 1.107, H16 1.113, H17 1.078
7 C -1.996 -1.925 -0.493  N3 1.461, H18 1.102, H19 1.093, H20 1.082
8 C -0.510 -0.668 -2.066  N3 1.466, H21 1.085, H22 1.087, H23 1.079
9 C 2.003 0.180 1.964  N4 1.472, H24 1.101, H25 1.086, H26 1.094
10 C 2.092 -1.703 0.320  N4 1.459, H27 1.094, H28 1.072, H29 1.078
11 Si -0.026 -0.092 0.463  Cl1 2.112, N2 1.829, N3 1.830, N4 1.801
12 H 0.253 3.417 -0.583  C5 1.095
13 H 0.692 1.960 -1.508  C5 1.089
14 H 1.502 2.265 0.002  C5 1.088
15 H -2.157 2.992 0.059  C6 1.107
16 H -2.363 1.379 -0.728  C6 1.113
17 H -2.393 1.562 1.039  C6 1.078
18 H -2.585 -1.175 0.060  C7 1.102
19 H -2.480 -2.212 -1.430  C7 1.093